Brief =
Transcribe the lines further down from the one with "120.00" to the one with "intensity 48" with every line break kept, please.
Given =
____________
Record 1
This entry pairs a crystal structure of POF3 with its calculated PXRD pattern. Radiation: Cu Kα X-rays. Structure: DFT lattice parameters and positions (PBE).
Neutral-atom scattering factors, no anomalous dispersion.

Top 8 peaks for 10° ≤ 2θ ≤ 90°, sorted by position:
(1 0 0), 2θ 18.60, 4.770 Å, intensity 25
(0 1 1), 2θ 23.44, 3.796 Å, intensity 100
(0 0 2), 2θ 28.48, 3.133 Å, intensity 15
(1 1 0), 2θ 32.51, 2.754 Å, intensity 9
(1 1 1), 2θ 35.61, 2.521 Å, intensity 16
(2 0 0), 2θ 37.72, 2.385 Å, intensity 17
(0 2 2), 2θ 47.93, 1.898 Å, intensity 12
(1 2 1), 2θ 52.84, 1.733 Å, intensity 9

Structural model:
a b c (Å): 5.5082 5.5082 6.2670
angles (deg): 90.00 90.00 120.00
Space group P-3m1 (No. 164)
Inequivalent atoms, fractional coordinates:
P1 0.3333 0.6667 0.3130 (multiplicity 2)
O1 0.3333 0.6667 0.5454 (multiplicity 2)
F1 0.1885 0.3769 0.2018 (multiplicity 6)

Record 2
This entry pairs a crystal structure of H2S with its calculated PXRD pattern. Radiation: Cu Kα X-rays. Structure: DFT lattice parameters and positions (PBE).
Neutral-atom scattering factors, no anomalous dispersion.

Top 8 peaks for 10° ≤ 2θ ≤ 90°, sorted by position:
(0 0 2), 2θ 23.86, 3.729 Å, intensity 75
(1 1 0), 2θ 26.25, 3.395 Å, intensity 53
(1 0 1), 2θ 26.49, 3.365 Å, intensity 100
(1 0 -1), 2θ 26.96, 3.307 Å, intensity 97
(1 1 2), 2θ 35.02, 2.562 Å, intensity 19
(1 1 -2), 2θ 36.50, 2.462 Å, intensity 22
(2 1 1), 2θ 46.16, 1.966 Å, intensity 17
(2 0 0), 2θ 48.84, 1.865 Å, intensity 21

Structural model:
a b c (Å): 4.0650 4.0654 7.4640
angles (deg): 88.18 87.99 66.58
Space group P-1 (No. 2)
Inequivalent atoms, fractional coordinates:
H1 0.0728 0.1366 0.3355 (multiplicity 2)
H2 0.1368 0.0726 0.8356 (multiplicity 2)
S1 0.2417 0.7577 0.7499 (multiplicity 2)

Record 3
This entry pairs a crystal structure of Al2Fe5 with its calculated PXRD pattern. Radiation: Cu Kα X-rays. Structure: DFT lattice parameters and positions (PBE).
Neutral-atom scattering factors, no anomalous dispersion.

Top 8 peaks for 10° ≤ 2θ ≤ 90°, sorted by position:
(3 1 0), 2θ 33.63, 2.665 Å, intensity 61
(0 0 1), 2θ 34.82, 2.577 Å, intensity 75
(3 2 0), 2θ 38.52, 2.337 Å, intensity 36
(2 1 1), 2θ 42.50, 2.127 Å, intensity 48
(4 1 0), 2θ 44.32, 2.044 Å, intensity 100
(3 3 0), 2θ 45.67, 1.986 Å, intensity 39
(3 1 1), 2θ 49.19, 1.852 Å, intensity 77
(3 2 1), 2θ 52.89, 1.731 Å, intensity 42

Structural model:
a b c (Å): 8.4276 8.4276 2.5765
angles (deg): 90.00 90.00 90.00
Space group P4/mbm (No. 127)
Inequivalent atoms, fractional coordinates:
Al1 0.1827 0.3173 0.0000 (multiplicity 4)
Fe1 0.0000 0.5000 0.5000 (multiplicity 2)
Fe2 0.0586 0.7931 0.5000 (multiplicity 8)

Record 4
This entry pairs a crystal structure of Ho4Ag3Pt with its calculated PXRD pattern. Radiation: Cu Kα X-rays. Structure: DFT lattice parameters and positions (PBE).
Neutral-atom scattering factors, no anomalous dispersion.

Top 8 peaks for 10° ≤ 2θ ≤ 90°, sorted by position:
(1 0 4), 2θ 35.40, 2.535 Å, intensity 100
(1 1 0), 2θ 35.51, 2.528 Å, intensity 51
(0 0 8), 2θ 50.77, 1.798 Å, intensity 8
(2 0 0), 2θ 51.10, 1.787 Å, intensity 18
(1 1 8), 2θ 63.49, 1.465 Å, intensity 17
(2 1 4), 2θ 63.70, 1.461 Å, intensity 36
(2 0 8), 2θ 74.91, 1.268 Å, intensity 10
(3 1 0), 2θ 85.96, 1.131 Å, intensity 16

Structural model:
a b c (Å): 3.5748 3.5748 14.3854
angles (deg): 90.00 90.00 90.00
Space group P4/mmm (No. 123)
Inequivalent atoms, fractional coordinates:
Ho1 0.0000 0.0000 0.1149 (multiplicity 2)
Ho2 0.0000 0.0000 0.3719 (multiplicity 2)
Ag1 0.5000 0.5000 0.2460 (multiplicity 2)
Ag2 0.5000 0.5000 0.5000 (multiplicity 1)
Pt1 0.5000 0.5000 0.0000 (multiplicity 1)

Record 5
This entry pairs a crystal structure of Zn3Ga2Ag8 with its calculated PXRD pattern. Radiation: Cu Kα X-rays. Structure: DFT lattice parameters and positions (PBE).
Neutral-atom scattering factors, no anomalous dispersion.

Top 8 peaks for 10° ≤ 2θ ≤ 90°, sorted by position:
(1 1 -1), 2θ 25.65, 3.473 Å, intensity 22
____________
Completed =
angles (deg): 90.00 90.00 120.00
Space group P-3m1 (No. 164)
Inequivalent atoms, fractional coordinates:
P1 0.3333 0.6667 0.3130 (multiplicity 2)
O1 0.3333 0.6667 0.5454 (multiplicity 2)
F1 0.1885 0.3769 0.2018 (multiplicity 6)

Record 2
This entry pairs a crystal structure of H2S with its calculated PXRD pattern. Radiation: Cu Kα X-rays. Structure: DFT lattice parameters and positions (PBE).
Neutral-atom scattering factors, no anomalous dispersion.

Top 8 peaks for 10° ≤ 2θ ≤ 90°, sorted by position:
(0 0 2), 2θ 23.86, 3.729 Å, intensity 75
(1 1 0), 2θ 26.25, 3.395 Å, intensity 53
(1 0 1), 2θ 26.49, 3.365 Å, intensity 100
(1 0 -1), 2θ 26.96, 3.307 Å, intensity 97
(1 1 2), 2θ 35.02, 2.562 Å, intensity 19
(1 1 -2), 2θ 36.50, 2.462 Å, intensity 22
(2 1 1), 2θ 46.16, 1.966 Å, intensity 17
(2 0 0), 2θ 48.84, 1.865 Å, intensity 21

Structural model:
a b c (Å): 4.0650 4.0654 7.4640
angles (deg): 88.18 87.99 66.58
Space group P-1 (No. 2)
Inequivalent atoms, fractional coordinates:
H1 0.0728 0.1366 0.3355 (multiplicity 2)
H2 0.1368 0.0726 0.8356 (multiplicity 2)
S1 0.2417 0.7577 0.7499 (multiplicity 2)

Record 3
This entry pairs a crystal structure of Al2Fe5 with its calculated PXRD pattern. Radiation: Cu Kα X-rays. Structure: DFT lattice parameters and positions (PBE).
Neutral-atom scattering factors, no anomalous dispersion.

Top 8 peaks for 10° ≤ 2θ ≤ 90°, sorted by position:
(3 1 0), 2θ 33.63, 2.665 Å, intensity 61
(0 0 1), 2θ 34.82, 2.577 Å, intensity 75
(3 2 0), 2θ 38.52, 2.337 Å, intensity 36
(2 1 1), 2θ 42.50, 2.127 Å, intensity 48